'''
Mo6OsRu | PBE | optimized geometry

Cell lengths 5.0024, 5.0024, 5.0024 Å; angles 90.00, 90.00, 90.00 degrees
With the nearest neighbours (Å) after each atom.
Positions (direct):
Mo: 0.0000 0.2499 0.5000  2 Mo 2.50, 2 Os 2.80, 2 Ru 2.80
Mo: 0.0000 0.7501 0.5000  2 Mo 2.50, 2 Os 2.80, 2 Ru 2.80
Mo: 0.2499 0.5000 0.0000  2 Mo 2.50, 2 Os 2.80, 2 Ru 2.80
Mo: 0.5000 0.0000 0.2499  2 Mo 2.50, 2 Os 2.80, 2 Ru 2.80
Mo: 0.5000 0.0000 0.7501  2 Mo 2.50, 2 Os 2.80, 2 Ru 2.80
Mo: 0.7501 0.5000 0.0000  2 Mo 2.50, 2 Os 2.80, 2 Ru 2.80
Os: 0.0000 0.0000 0.0000  12 Mo 2.80
Ru: 0.5000 0.5000 0.5000  12 Mo 2.80

Output
**Total energy**: -10.669 eV/atom
**Total magnetic moment**: 0.06 μB/cell
**E_form**: 0.028 eV/atom
'''
Next, type out all of the listing further up without altering anything.
Mo6OsRu | PBE | optimized geometry

Cell lengths 5.0024, 5.0024, 5.0024 Å; angles 90.00, 90.00, 90.00 degrees
With the nearest neighbours (Å) after each atom.
Positions (direct):
Mo: 0.0000 0.2499 0.5000  2 Mo 2.50, 2 Os 2.80, 2 Ru 2.80
Mo: 0.0000 0.7501 0.5000  2 Mo 2.50, 2 Os 2.80, 2 Ru 2.80
Mo: 0.2499 0.5000 0.0000  2 Mo 2.50, 2 Os 2.80, 2 Ru 2.80
Mo: 0.5000 0.0000 0.2499  2 Mo 2.50, 2 Os 2.80, 2 Ru 2.80
Mo: 0.5000 0.0000 0.7501  2 Mo 2.50, 2 Os 2.80, 2 Ru 2.80
Mo: 0.7501 0.5000 0.0000  2 Mo 2.50, 2 Os 2.80, 2 Ru 2.80
Os: 0.0000 0.0000 0.0000  12 Mo 2.80
Ru: 0.5000 0.5000 0.5000  12 Mo 2.80

Output
**Total energy**: -10.669 eV/atom
**Total magnetic moment**: 0.06 μB/cell
**E_form**: 0.028 eV/atom